[Brief]
Could you set down the lines further down with every line break kept?
[Entries]
........
VASP calculation (PBEsol) on a relaxed structure of MnTl2In.

Cell and atoms, written as POSCAR:
```
MnTl2In
1.0
0.000 3.628 3.628
3.628 0.000 3.628
3.628 3.628 0.000
Mn Tl In
1 2 1
direct
0.000 0.000 0.000
0.500 0.500 0.500
0.750 0.750 0.750
0.250 0.250 0.250
```

Output
Formation energy from the elements (kJ per mole of atoms): 44.9
D(E_F) (states/eV per atom): 0.59
E (eV/atom): -4.036

* * * * *

No. 1
DFT (GGA-PBE) results for a geometry-optimized Sr3SnHg12 structure.

Geometry as POSCAR:
```
Sr3SnHg12
1.0
4.899 0.000 0.000
0.000 4.899 0.000
0.000 0.000 18.599
Sr Sn Hg
3 1 12
Direct
0.000 0.000 0.000
0.000 0.000 0.262
0.000 0.000 0.738
0.000 0.000 0.500
0.000 0.500 0.129
0.000 0.500 0.385
0.000 0.500 0.615
0.000 0.500 0.871
0.500 0.000 0.129
0.500 0.000 0.385
0.500 0.000 0.615
0.500 0.000 0.871
0.500 0.500 0.000
0.500 0.500 0.259
0.500 0.500 0.500
0.500 0.500 0.741
```

- Calculated total energy: -1.0920 eV/atom
- Calculated formation energy: -0.3001 eV per atom
- Mass density: 10373 kg/m³



No. 2
DFT (GGA-PBE) results for a geometry-optimized Ac2MgGaTe5 structure.

Geometry as POSCAR:
```
Ac2MgGaTe5
1.0
2.355 -9.624 0.000
2.355 9.624 0.000
0.000 0.000 13.000
Ac Mg Ga Te
4 2 2 10
Direct
0.116 0.884 0.500
0.129 0.871 0.117
0.871 0.129 0.617
0.884 0.116 0.000
0.205 0.795 0.826
0.795 0.205 0.326
0.436 0.564 0.274
0.564 0.436 0.774
0.048 0.952 0.871
0.290 0.710 0.474
0.309 0.691 0.167
0.355 0.645 0.812
0.499 0.501 0.588
0.501 0.499 0.088
0.645 0.355 0.312
0.691 0.309 0.667
0.710 0.290 0.974
0.952 0.048 0.371
```

- Formation energy without anion corrections: -1.108 eV/atom
- Calculated total energy: -4.2800 eV/atom
- Mass density: 6683 kg/m³



No. 3
DFT (GGA-PBE) results for a geometry-optimized Hf6Zr8Sc structure.

Geometry as POSCAR:
```
Hf6Zr8Sc
1.0
8.450 0.000 0.000
-4.225 7.318 0.000
0.000 0.000 5.612
Hf Zr Sc
6 8 1
Direct
0.100 0.458 0.314
0.358 0.900 0.314
0.458 0.358 0.686
0.542 0.642 0.314
0.642 0.100 0.686
0.900 0.542 0.686
0.050 0.282 0.814
0.233 0.950 0.814
0.282 0.233 0.186
0.333 0.667 0.851
0.667 0.333 0.149
0.718 0.767 0.814
0.767 0.050 0.186
0.950 0.718 0.186
0.000 0.000 0.500
```

- Calculated total energy: -8.7875 eV/atom
- Calculated formation energy: 0.1749 eV per atom
- Mass density: 8833 kg/m³



No. 4
DFT (GGA-PBE) results for a geometry-optimized Pm2PdI2 structure.

Geometry as POSCAR:
```
Pm2PdI2
1.0
2.103 1.214 11.764
-2.103 1.214 11.764
0.000 -2.429 11.764
Pm Pd I
2 1 2
Direct
0.120 0.120 0.120
0.880 0.880 0.880
0.500 0.500 0.500
0.275 0.275 0.275
0.725 0.725 0.725
```

- Formation energy without anion corrections: -1.083 eV/atom
- Calculated total energy: -4.6420 eV/atom
- Mass density: 5988 kg/m³



No. 5
DFT (GGA-PBE) results for a geometry-optimized Y2VN structure.

Geometry as POSCAR:
```
Y2VN
1.0
-3.426 3.426 4.064
3.426 -3.426 4.064
3.426 3.426 -4.064
Y V N
4 2 2
Direct
0.025 0.625 0.900
0.375 0.275 0.400
0.725 0.125 0.100
0.875 0.975 0.600
0.250 0.750 0.500
0.500 0.500 0.000
0.000 0.000 0.000
0.750 0.250 0.500
```

- Formation energy without anion corrections: -0.077 eV/atom
- Calculated total energy: -7.6696 eV/atom
- Mass density: 4226 kg/m³



No. 6
DFT (GGA-PBE) results for a geometry-optimized NdYSb2 structure.

Geometry as POSCAR:
```
NdYSb2
1.0
2.231 1.288 7.271
-2.231 1.288 7.271
0.000 -2.576 7.271
Nd Y Sb
1 1 2
Direct
0.000 0.000 0.000
0.500 0.500 0.500
0.247 0.247 0.247
0.753 0.753 0.753
```

- Formation energy without anion corrections: -1.175 eV/atom
- Calculated total energy: -6.0440 eV/atom
- Mass density: 6313 kg/m³



No. 7
DFT (GGA-PBE) results for a geometry-optimized Ba3La2YTe6 structure.

Geometry as POSCAR:
```
Ba3La2YTe6
1.0
4.059 -7.022 0.000
4.059 7.022 0.000
-2.708 0.000 7.888
Ba La Y Te
3 2 1 6
Direct
0.000 0.000 0.000
0.330 0.670 0.000
0.670 0.330 0.000
0.166 0.834 0.500
0.834 0.166 0.500
0.500 0.500 0.500
0.102 0.426 0.277
0.252 0.252 0.726
0.426 0.102 0.277
0.574 0.898 0.723
0.748 0.748 0.274
0.898 0.574 0.723
```
........
[Outcome]
VASP calculation (PBEsol) on a relaxed structure of MnTl2In.

Cell and atoms, written as POSCAR:
```
MnTl2In
1.0
0.000 3.628 3.628
3.628 0.000 3.628
3.628 3.628 0.000
Mn Tl In
1 2 1
direct
0.000 0.000 0.000
0.500 0.500 0.500
0.750 0.750 0.750
0.250 0.250 0.250
```

Output
Formation energy from the elements (kJ per mole of atoms): 44.9
D(E_F) (states/eV per atom): 0.59
E (eV/atom): -4.036

* * * * *

No. 1
DFT (GGA-PBE) results for a geometry-optimized Sr3SnHg12 structure.

Geometry as POSCAR:
```
Sr3SnHg12
1.0
4.899 0.000 0.000
0.000 4.899 0.000
0.000 0.000 18.599
Sr Sn Hg
3 1 12
Direct
0.000 0.000 0.000
0.000 0.000 0.262
0.000 0.000 0.738
0.000 0.000 0.500
0.000 0.500 0.129
0.000 0.500 0.385
0.000 0.500 0.615
0.000 0.500 0.871
0.500 0.000 0.129
0.500 0.000 0.385
0.500 0.000 0.615
0.500 0.000 0.871
0.500 0.500 0.000
0.500 0.500 0.259
0.500 0.500 0.500
0.500 0.500 0.741
```

- Calculated total energy: -1.0920 eV/atom
- Calculated formation energy: -0.3001 eV per atom
- Mass density: 10373 kg/m³



No. 2
DFT (GGA-PBE) results for a geometry-optimized Ac2MgGaTe5 structure.

Geometry as POSCAR:
```
Ac2MgGaTe5
1.0
2.355 -9.624 0.000
2.355 9.624 0.000
0.000 0.000 13.000
Ac Mg Ga Te
4 2 2 10
Direct
0.116 0.884 0.500
0.129 0.871 0.117
0.871 0.129 0.617
0.884 0.116 0.000
0.205 0.795 0.826
0.795 0.205 0.326
0.436 0.564 0.274
0.564 0.436 0.774
0.048 0.952 0.871
0.290 0.710 0.474
0.309 0.691 0.167
0.355 0.645 0.812
0.499 0.501 0.588
0.501 0.499 0.088
0.645 0.355 0.312
0.691 0.309 0.667
0.710 0.290 0.974
0.952 0.048 0.371
```

- Formation energy without anion corrections: -1.108 eV/atom
- Calculated total energy: -4.2800 eV/atom
- Mass density: 6683 kg/m³



No. 3
DFT (GGA-PBE) results for a geometry-optimized Hf6Zr8Sc structure.

Geometry as POSCAR:
```
Hf6Zr8Sc
1.0
8.450 0.000 0.000
-4.225 7.318 0.000
0.000 0.000 5.612
Hf Zr Sc
6 8 1
Direct
0.100 0.458 0.314
0.358 0.900 0.314
0.458 0.358 0.686
0.542 0.642 0.314
0.642 0.100 0.686
0.900 0.542 0.686
0.050 0.282 0.814
0.233 0.950 0.814
0.282 0.233 0.186
0.333 0.667 0.851
0.667 0.333 0.149
0.718 0.767 0.814
0.767 0.050 0.186
0.950 0.718 0.186
0.000 0.000 0.500
```

- Calculated total energy: -8.7875 eV/atom
- Calculated formation energy: 0.1749 eV per atom
- Mass density: 8833 kg/m³



No. 4
DFT (GGA-PBE) results for a geometry-optimized Pm2PdI2 structure.

Geometry as POSCAR:
```
Pm2PdI2
1.0
2.103 1.214 11.764
-2.103 1.214 11.764
0.000 -2.429 11.764
Pm Pd I
2 1 2
Direct
0.120 0.120 0.120
0.880 0.880 0.880
0.500 0.500 0.500
0.275 0.275 0.275
0.725 0.725 0.725
```

- Formation energy without anion corrections: -1.083 eV/atom
- Calculated total energy: -4.6420 eV/atom
- Mass density: 5988 kg/m³



No. 5
DFT (GGA-PBE) results for a geometry-optimized Y2VN structure.

Geometry as POSCAR:
```
Y2VN
1.0
-3.426 3.426 4.064
3.426 -3.426 4.064
3.426 3.426 -4.064
Y V N
4 2 2
Direct
0.025 0.625 0.900
0.375 0.275 0.400
0.725 0.125 0.100
0.875 0.975 0.600
0.250 0.750 0.500
0.500 0.500 0.000
0.000 0.000 0.000
0.750 0.250 0.500
```

- Formation energy without anion corrections: -0.077 eV/atom
- Calculated total energy: -7.6696 eV/atom
- Mass density: 4226 kg/m³



No. 6
DFT (GGA-PBE) results for a geometry-optimized NdYSb2 structure.

Geometry as POSCAR:
```
NdYSb2
1.0
2.231 1.288 7.271
-2.231 1.288 7.271
0.000 -2.576 7.271
Nd Y Sb
1 1 2
Direct
0.000 0.000 0.000
0.500 0.500 0.500
0.247 0.247 0.247
0.753 0.753 0.753
```

- Formation energy without anion corrections: -1.175 eV/atom
- Calculated total energy: -6.0440 eV/atom
- Mass density: 6313 kg/m³



No. 7
DFT (GGA-PBE) results for a geometry-optimized Ba3La2YTe6 structure.

Geometry as POSCAR:
```
Ba3La2YTe6
1.0
4.059 -7.022 0.000
4.059 7.022 0.000
-2.708 0.000 7.888
Ba La Y Te
3 2 1 6
Direct
0.000 0.000 0.000
0.330 0.670 0.000
0.670 0.330 0.000
0.166 0.834 0.500
0.834 0.166 0.500
0.500 0.500 0.500
0.102 0.426 0.277
0.252 0.252 0.726
0.426 0.102 0.277
0.574 0.898 0.723
0.748 0.748 0.274
0.898 0.574 0.723
```